Mind-Body Health

Ask Dr. Suhas: How Do Men Cultivate Good Health Habits?

Ask Dr. Suhas: How Do Men Cultivate Good Health Habits?
Every month, Dr. Suhas will be answering questions from our followers around men’s health and wellness. If you have general questions for him, please send us an email to askdrsuhas@chopra.com, and your question may be the one he answers next month.

This month, Dr. Suhas answers a question around how men can create and maintain healthy habits.

How Do Men Cultivate Good Health Habits?

“Habit is a cable; we weave a thread each day, and at last we cannot break it.”Horace Mann

Habits can be good and bad, and much depends upon how quickly you realize and differentiate the good from the bad. Your habits will decide what you achieve or fail to achieve in your life. There are two Sanskrit words that effectively communicate good and bad habits: Shreyas and Preyas.

Sheryas is something that may not initially be liked by the sense organs, but it is good for you. Preyas, on the other hand, is liked by the senses and is not good for you. The journey of enlightenment is to start liking things that are good for you; in other words, cultivate good habits by boosting your will power and self-discipline. There is no better way to exercise self-control than meditation. The simple prescription is to:

  • Meditate
  • Witness with self-awareness
  • Find good role models who will motivate you

The Habit Loop

• Attached: calculated molecules:
********
Entry w
The following is a DFT calculation (ωB97M-V/def2-TZVPD) of a structure of composition C6H14NO.

CARTESIAN COORDINATES (ANGSTROEM)
C (0.70, 1.00, -1.12)
C (0.60, 0.07, -2.33)
C (-0.41, 0.73, -0.08)
N (-1.85, 0.84, -0.57)
C (-2.94, -0.94, 0.64)
C (-2.18, 0.34, 0.55)
C (2.79, -0.48, 1.59)
O (3.43, -0.13, 0.47)
H (0.70, 2.05, -1.38)
H (1.61, 0.76, -0.58)
H (0.52, -0.94, -1.93)
H (-0.30, 0.25, -2.91)
H (1.55, 0.09, -2.86)
H (-0.12, -0.28, 0.22)
H (-0.15, 1.37, 0.78)
H (2.86, -1.57, 1.86)
H (-3.77, -0.88, 1.35)
H (-3.32, -1.26, -0.32)
H (-2.31, -1.75, 0.99)
H (-2.23, 0.98, 1.45)
H (1.68, -0.28, 1.64)
H (3.14, 0.04, 2.53)

Properties
Multiplicity: 1
Molar mass in g mol⁻¹: 116.184
E_HOMO in Eh: -0.0828
Net charge: -1

Entry x
The following is a DFT calculation (ωB97M-V/def2-TZVPD) of the ion C6H14NO with charge -1.

CARTESIAN COORDINATES (ANGSTROEM)
C (1.99, 0.69, 2.60)
O (2.69, 0.39, 3.68)
C (1.20, -0.53, 1.69)
C (0.87, 0.02, 0.33)
C (-0.52, 0.64, 0.06)
C (-0.92, 0.78, -1.46)
C (-1.14, -0.65, -2.19)
N (-2.40, -1.42, -1.94)
H (2.68, 0.96, 1.81)
H (1.29, 1.40, 2.81)
H (0.33, -1.02, 2.15)
H (2.01, -1.31, 1.78)
H (1.56, 0.88, 0.04)
H (1.10, -0.77, -0.48)
H (-0.50, 1.66, 0.49)
H (-1.39, 0.17, 0.58)
H (-1.72, 1.34, -1.65)
H (-0.07, 1.11, -2.11)
H (-0.25, -1.15, -1.90)
H (-1.14, -0.26, -3.33)
H (-2.46, -2.16, -1.36)
H (-3.22, -0.75, -1.61)

Properties
Multiplicity: 1
Molar mass in g mol⁻¹: 116.184
SMILES: NCCCCCC[O-]
E_HOMO in Eh: -0.0787
Net charge: -1

Energies in hartree, measured from the most stable structure: entry w 0.0507; entry x 0.0000.

Entry w
The following is a DFT calculation (ωB97M-V/def2-TZVPD) of the ion C6H14NO with charge -1.

CARTESIAN COORDINATES (ANGSTROEM)
C (1.74, 0.26, 2.04)
C (0.40, 0.63, 1.44)
N (0.31, -0.22, 0.22)
C (-0.43, -1.47, 0.42)
C (-1.66, 0.82, -0.88)
C (-0.18, 0.55, -1.01)
C (0.16, -0.31, -2.26)
O (-0.06, 0.49, -3.26)
H (1.86, -0.86, 2.10)
H (2.61, 0.53, 1.40)
H (1.98, 0.52, 3.09)
H (-0.46, 0.55, 2.16)
H (0.22, 1.72, 1.33)
H (0.32, -2.19, 0.66)
H (-1.11, -1.47, 1.26)
H (-0.96, -1.90, -0.62)
H (-1.84, 1.27, 0.09)
H (-1.92, 1.49, -1.75)
H (-2.03, -0.20, -0.90)
H (0.25, 1.57, -1.14)
H (-0.44, -1.25, -2.25)
H (1.25, -0.53, -2.16)

Properties
Multiplicity: 1
Molar mass in g mol⁻¹: 116.184
SMILES: CCN(C)[C@H](C)C[O-]
E_HOMO in Eh: -0.0759
Net charge: -1

Entry x
The following is a DFT calculation (ωB97M-V/def2-TZVPD) of a cluster of 2 separate species, C6H14NO in total.

CARTESIAN COORDINATES (ANGSTROEM)
C (-3.05, 0.11, 1.30)
C (-1.70, 0.06, 0.55)
C (-1.34, 1.37, -0.14)
C (-0.39, 2.18, 0.36)
H (-3.73, 0.47, 0.53)
H (-3.39, -0.92, 1.53)
H (-3.15, 0.75, 2.18)
H (-1.73, -0.64, -0.31)
H (-0.84, -0.27, 1.15)
H (-2.02, 1.69, -0.97)
H (-0.04, 3.14, -0.06)
H (0.12, 1.82, 1.26)
C (2.70, -1.01, 0.34)
N (2.69, -0.66, -1.09)
C (1.45, -1.18, -1.76)
O (0.31, -0.63, -1.30)
H (1.73, -0.86, 0.86)
H (3.49, -0.43, 0.84)
H (2.98, -2.07, 0.43)
H (2.72, 0.35, -1.22)
H (1.55, -2.32, -1.65)
H (1.63, -0.95, -2.84)

Properties
Multiplicity: 1
********
• Back to the text:

Habits, by definition, are behaviors that you have picked up over time that have become an integral and inseparable part of your daily routine. Some habits add value to your emotional and physical health while others distract. Cultivating good habits has become even more important in this post-coronavirus world where routine behaviors act as a way to maintain a sense of consistency for yourself.

“We are what we repeatedly do. Excellence, then, is not an act, but a habit.”—Aristotle
The Habit Loop is an interesting concept discussed in author Charles Duhigg’s book, “The Power of Habits.” Every habit has a cue, routine, and reward. These three factors put together create habits.

Someone pasted calculated molecules at this point:
........
No. 1
Below is an isolated molecule of C25H39N3, with properties calculated with ωB97M-V with the def2-TZVPD basis set.

The geometry in XYZ format:
```
67
Properties=species:S:1:pos:R:3:forces:R:3
N 0.415925 -1.581285 -0.433178 -0.29 -0.10 -0.18
N 1.837486 0.687083 0.187924 -0.24 0.08 0.10
N -1.772761 -2.078910 1.383059 0.09 0.16 -0.31
C -1.369945 1.545458 -4.184383 -0.02 0.04 -0.12
C 0.302897 -2.840191 0.292499 -0.27 -0.21 0.33
C 3.356317 -1.122746 0.754556 0.28 0.33 -0.35
C -4.286248 3.961633 1.346008 -0.08 0.04 0.08
C -3.820574 4.274616 0.080193 -0.01 0.09 -0.05
C 2.592388 -0.416299 -0.385231 -0.13 -0.21 0.20
C -1.407519 1.284686 -1.787282 0.08 -0.18 -0.02
C -0.406583 -3.920974 -0.525609 0.27 0.18 0.06
C -1.055927 1.710455 -0.381090 0.06 0.29 0.12
C 1.640782 -1.349699 -1.184245 0.21 0.34 0.06
C -1.006702 1.980645 -2.920995 0.01 -0.02 0.06
C -2.785458 3.548487 -0.479956 0.02 0.01 0.03
C -3.709719 2.917826 2.047957 -0.08 0.03 0.10
C -0.436292 -2.591199 1.616856 0.26 -0.08 -0.11
C -2.498105 -1.820181 2.607768 -0.01 0.04 0.04
C 4.219877 -0.091152 1.493917 -0.20 -0.15 0.23
C 1.467868 1.733637 -0.749717 0.13 0.21 0.00
C -2.203319 0.155258 -1.955790 0.04 0.03 -0.05
C 4.651913 -0.549680 2.881392 0.06 0.08 -0.24
C -2.200412 2.498786 0.216743 -0.03 -0.11 0.12
C -2.674259 2.192619 1.485429 0.04 0.00 -0.05
C -2.145656 0.410450 -4.338391 -0.02 0.00 -0.10
C 0.249479 2.513556 -0.257053 0.20 -0.36 -0.19
C -2.567646 -0.281575 -3.216099 -0.07 -0.11 -0.01
C 4.224853 -2.267216 0.236637 -0.28 0.05 0.19
H -2.228886 1.379789 2.042169 0.08 -0.12 0.04
H -1.042873 2.098184 -5.053466 0.02 0.04 -0.06
H -0.374748 -4.875587 -0.007072 -0.05 -0.15 0.03
H 2.325101 2.413912 -0.832996 -0.11 0.01 -0.13
H -4.267300 5.087303 -0.474071 -0.04 0.06 -0.04
H 0.399087 2.766727 0.794834 -0.02 0.08 0.00
H 2.150493 -2.279510 -1.457789 -0.06 -0.01 -0.05
H 4.849917 -2.656057 1.036143 0.11 -0.09 0.03
H -0.399968 2.868946 -2.830891 0.10 0.07 0.04
H 5.102505 0.132078 0.890612 0.06 0.05 -0.11
H 5.225477 0.232822 3.373253 0.07 0.02 0.12
H 5.273531 -1.440902 2.833445 0.08 -0.11 0.09
H 0.073541 -4.036769 -1.496057 0.04 -0.04 -0.08
H 3.635266 0.824184 1.588264 0.11 -0.02 -0.04
H -2.554046 -0.384748 -1.086456 -0.03 -0.06 0.12
H 1.257187 1.342645 -1.756840 0.07 0.06 0.05
H -2.660725 -2.766589 3.124916 -0.07 0.03 0.07
H -0.529893 -3.535852 2.160996 0.03 0.00 0.04
H -1.693253 -1.216953 0.850289 0.01 -0.06 0.08
H -2.434782 3.793123 -1.471834 0.02 0.02 -0.12
H -3.466510 -1.386494 2.362805 -0.06 0.00 0.09
H 3.627813 -3.092910 -0.142256 0.01 -0.13 -0.07
H -4.067704 2.665784 3.035724 -0.03 -0.02 0.08
H 3.782172 -0.772500 3.495689 -0.09 -0.03 0.11
H -2.423331 0.070116 -5.324995 -0.02 -0.03 -0.07
H -0.937581 0.798046 0.214260 -0.06 0.03 -0.05
H 1.000094 0.269603 0.587096 0.05 0.03 -0.11
H 4.872472 -1.916031 -0.564567 0.11 0.03 -0.11
H 1.313117 -3.180378 0.540783 -0.04 0.05 -0.01
H -1.446910 -3.640605 -0.671992 -0.10 -0.01 -0.04
H -3.181634 -1.164318 -3.321889 -0.05 -0.07 -0.01
........

Habit-making behaviors are traced to the basal ganglia in the brain. This is the part of the brain that is instrumental in generating emotions and memories and recognizing patterns. The prefrontal cortex makes decisions. However, once a behavior becomes automatic, the prefrontal cortex goes into an auto-pilot mode. This is similar to the “zone” that athletes experience. A moment of being where there are no conscious decisions being made, but rather a reaction from years of muscle memory. You must have noticed that you don’t actually have to think about brushing your teeth after you wake up! Similarly, you don’t have to actively think while engaging in your habitual behaviors. This is why they can be just as harmful as they can be helpful.

For example, if you want to develop a habit of getting in about 20 minutes of workout in your morning routine, first pick an already existing habit such as waking up in the morning as your cue. Your reward could be a post-workout healthy snack, a smoothie, or the rush of endorphins you feel when you go for a run. If your brain anticipates a reward, it is easier to condition it to participate in a new routine. This is the opposite of negative habits, such as staying up late or drinking alcohol. Your body is no longer making an active decision but rather reacting due to a stimulus that is simply receiving signals.

How to Integrate a New Habit into Your Life

The best ingredients for forming a new habit are consistency and self-awareness. Research shows that it takes about 21-66 days to form a habit. Many of us falter, give in to distractions, and end up losing momentum within the first few weeks of developing a new habit. Consistently staying true to your commitment to making a change and becoming self-aware of the kinds of hurdles you might face can go a long way in helping you form a new habit. Here are some tips.

1. Start by identifying the new habit that you want to incorporate in your life and then list the reasons why you want that particular change. Perhaps you are trying to get into the habit of sleeping early because you want to be sharper and more present during your early morning meetings.

2. Visualize or write down the reward that you intend to achieve by sleeping early.

3. Remove distractions such as checking your Instagram feed and giving in to the temptation of streaming just one more episode before going to bed. Remind yourself that changing your sleep pattern is an investment in your health and career!

4. Make sure that you actively set time aside for the particular habit that you’re trying to cultivate. If you don’t make time for it, building a completely new habit into your daily routine turns into a herculean task.

5. Meditate. Meditation cultivates self-awareness that keeps you away from mindless, ignorant habits. All the ancient traditions have used fasting, meditation, prayer, mirroring, and group activities to enforce good habits and positive lifestyles.

Dr. Suhas Kshirsagar is a world-renowned Ayurvedic physician and medical astrologer from a family of traditional Vedic healers in India. He holds a B.A. in Ayurvedic medicine and completed a three-year residency as an M.D. (doctorate in Ayurvedic internal medicine) at the prestigious Pune University in India.

Dr. Suhas is a compassionate healer and expert clinician who directs the Ayurvedic Healing and Integrative Wellness Clinic in Northern California. As a sought-after speaker and lecturer, he also travels throughout the world teaching courses in Ayurveda, training doctors, and providing Ayurvedic consultations for thousands of patients.